I don't think so. That's the same as believing that any TV show is real I think. Neither TV shows or wrestling are trying to trick people, but simply not recognising that they're fiction doesn't mean you've been fooled imo
Omg, I asked me boyfriend to tell me a story. He launched into a rambling college anecdote about his roommate who claimed he was a leprechaun. It was so compelling and so believable how he told it, I was riveted. It was all made up. And you bet I married him 25 years ago. ❤️
### What comes next are crystal structures, not part of the text
<<<
# TiInAu2 | Alexandria via LeMat-Bulk | PBE | relaxed
data_TiInAu2
_chemical_formula_sum 'Ti2 In2 Au4'
_cell_length_a 5.913
_cell_length_b 3.440
_cell_length_c 8.267
_cell_angle_alpha 90.00
_cell_angle_beta 103.56
_cell_angle_gamma 90.00
_space_group_name_H-M_alt 'C 1 m 1'
_space_group_IT_number 8
loop_
_space_group_symop_operation_xyz
'x,y,z'
'x,-y,z'
'x+1/2,y+1/2,z'
'x+1/2,-y+1/2,z'
loop_
_atom_site_label
_atom_site_type_symbol
_atom_site_fract_x
_atom_site_fract_y
_atom_site_fract_z
Ti1 Ti 0.000 0.000 0.000
In1 In 0.166 0.000 0.499
Au1 Au 0.091 0.500 0.774
Au2 Au 0.409 0.000 0.225
# Formation energy from the elements, meV/atom: -167
# E_tot, eV/f.u.: -17.855

~~~~~

Record 1
Below is a relaxed Nd2PbSe4 crystal, with properties calculated at the GGA-PBE level.

Cell and atoms, written as CIF:
```
data_Nd2PbSe4
_chemical_formula_sum 'Nd8 Pb4 Se16'
_symmetry_space_group_name_H-M 'C m c m'
_symmetry_Int_Tables_number 63
_symmetry_space_group_name_Hall '-C 2c 2'
_cell_length_a 4.232
_cell_length_b 13.963
_cell_length_c 14.508
_cell_angle_alpha 90.00
_cell_angle_beta 90.00
_cell_angle_gamma 90.00
loop_
_atom_site_label
_atom_site_fract_x
_atom_site_fract_y
_atom_site_fract_z
Nd1 0.000 0.135 0.069
Pb1 0.000 0.392 0.250
Se1 0.000 0.039 0.250
Se2 0.000 0.229 0.617
Se3 0.000 0.500 0.000
```

## Properties
The relative energy among the computed polymorphs comes out at 21 meV/atom. The final energy comes out at -5.348 eV per atom. The energy relative to the elements, uncorrected comes out at -1.465 eV per atom. The calculation puts the size of the total moment at 0.00 μB/cell.

=====

Record 2
Below is a relaxed BaAlGaAg3 crystal, with properties calculated at the GGA-PBE level.

Cell and atoms, written as CIF:
```
data_BaAlGaAg3
_chemical_formula_sum 'Ba4 Al4 Ga4 Ag12'
_symmetry_space_group_name_H-M 'C m c m'
_symmetry_Int_Tables_number 63
_symmetry_space_group_name_Hall '-C 2c 2'
_cell_length_a 6.938
_cell_length_b 13.031
_cell_length_c 6.535
_cell_angle_alpha 90.00
_cell_angle_beta 90.00
_cell_angle_gamma 90.00
loop_
_atom_site_label
_atom_site_fract_x
_atom_site_fract_y
_atom_site_fract_z
Ba1 0.000 0.225 0.250
Al1 0.000 0.484 0.250
Ga1 0.000 0.120 0.750
Ag1 0.000 0.321 0.750
Ag2 0.208 0.000 0.000
```

## Properties
The final energy comes out at -2.993 eV per atom. For the density of states at the Fermi level, the calculation gives 11.5 states/eV per cell. The calculation puts the size of the total moment at 0.00 μB/cell.

=====

What is the final energy in the second record? -2.993 eV per atom

~~~~~

(1)
Material: NaSr3Pt
Method: DFT, PBE
State: optimized geometry

The structure belongs to space group Fd-3m (No. 227, origin choice 2); the cell edges are 15.974, 15.974 and 15.974 Å and the angles 90.00°, 90.00° and 90.00°. The asymmetric unit holds Na at (0.000, 0.000, 0.000), Sr at (0.064, 0.375, 0.875) and Pt at (0.000, 0.000, 0.500).
>>>
### Back to the text
There was this one bday I had where I kept stealing this kid’s KU hat, and in the end he *gave* me the exact same hat as a gift. I felt pretty foolish.
I believed that the poison warning on the bottle of the gentian violet that my mom used as an antiseptic on cold sores (it was the 70s) meant that if an infinitesimal amount got in my mouth, I would die. It never occurred to me that she was unlikely to use a deadly substance on her kid.
I see what you did there but also the attached. I thought Gavin would continue fighting fascism but instead, he decided to fight FOR fascism. One small teeny preposition away from bravery, courage & the right side of history.
My fucking hubby and his friend told me the opening scenes of Robocop while pretending it was real news. It was a solid minute of complete foolery, and I still haven't seen it.
Back in 2020 when COVID first hit I was completely fooled into believing that we were all in this together, and that we cared about each other and would actively protect each other.
Back in the day when you paid for tolls throwing the money in my dad said if you didn’t pay ,spikes would come up and blow up all four tires, the first time my boyfriend did that I screamed and told him what my dad said he laughed and laughed plus my dad had me believe in Santa Claus until I was 12!
I once was led to believe that my uncle had snatched my nose from my face, hiding it in his closed palm, never returning it. If true, he still possesses it to this day
Every day I would go home after school to watch Star Trek. Throughout the show, as the Enterprise crew fell into deeper trouble, my brother told me it was the last episode they ever made and all the characters died. Somehow, I believed him every single day.
While playing with our baby once, my wife once put her hands in front of her face for a few seconds, then dropped them and said "peekaboo!" Baby loved it, but I was like....wtf. Where did you go?
2016: thought there was no way DJT would stay in the WH, that he wouldn’t like the workload, having to check in with the Constitution, and would be just the mouthpiece of Rep party if he did stay in office.
My bad.
But mine is “work hard and be a good person and u will b successful and happy”